Its Tuesday! Yesterday went fast for me because we were snowed in, but today will be a normal day! Whats a normal day without a HUGE DAILY LINKS LIST? I dunno, but I got one for you today! Now Get your Daily Nerdy Web Development/Design Links!!
Web Development/Designer Resources, Inspirations and Entertainment!!
Cool site that lists all the things people are giving away on twitter!
Cool grungy textures!
good read about online influence measurement!
Awesome read on speeding up your javascript part 3 and 4
Awesome read on speeding up your javascript
By the time you read this you could be having your own iMac or Mac Mini! New version!
Awesome look into Logo Designers Love of the sport
Companies that shell out BLING on their Engineers
Awesome read – people on twitter are great (See my king cake post for more info on twitter user kindness)
Good read about twitter and follower numbers
Awesome multi-twitter account manager!
Best of Feb's twitter tips!
Best of the web in February! Great collection!
very inspirational typography collection!
really nice floral brushes!
Awesome Wallpapers – Very pretty
Awesome concepts from microsoft
Video uploads for everyone!!
Awesome patterns!
Awesome interview with an Industrial Designer
== These data records were left in the page by mistake ==
........
# TaB2Mo, relaxed, DFT GGA-PBE
data_TaB2Mo
_chemical_formula_sum 'Ta4 B8 Mo4'
_cell_length_a 5.8116
_cell_length_b 5.8116
_cell_length_c 5.8116
_cell_angle_alpha 90.00
_cell_angle_beta 90.00
_cell_angle_gamma 90.00
_symmetry_space_group_name_H-M 'F -4 3 m'
_symmetry_Int_Tables_number 216
_symmetry_space_group_name_Hall 'F -4 2 3'
loop_
_atom_site_label
_atom_site_fract_x
_atom_site_fract_y
_atom_site_fract_z
Ta1 0.0000 0.0000 0.0000
B1 0.0000 0.0000 0.5000
B2 0.2500 0.2500 0.7500
Mo1 0.2500 0.2500 0.2500
# Theoretical density = 10.1 Mg/m³
# Electronic total energy = -7.880 eV/atom

=====

# BeGa2Tc, relaxed, DFT GGA-PBE
data_BeGa2Tc
_chemical_formula_sum 'Be4 Ga8 Tc4'
_cell_length_a 5.9917
_cell_length_b 5.9917
_cell_length_c 5.9917
_cell_angle_alpha 90.00
_cell_angle_beta 90.00
_cell_angle_gamma 90.00
_symmetry_space_group_name_H-M 'F -4 3 m'
_symmetry_Int_Tables_number 216
_symmetry_space_group_name_Hall 'F -4 2 3'
loop_
_atom_site_label
_atom_site_fract_x
_atom_site_fract_y
_atom_site_fract_z
Be1 0.0000 0.0000 0.0000
Ga1 0.0000 0.0000 0.5000
Ga2 0.2500 0.2500 0.7500
Tc1 0.2500 0.2500 0.2500
# Theoretical density = 7.6 Mg/m³
# Electronic total energy = -4.758 eV/atom

=====

# K2CuHgF6, relaxed, DFT GGA-PBE
data_K2CuHgF6
_chemical_formula_sum 'K6 Cu3 Hg3 F18'
_cell_length_a 5.8792
_cell_length_b 5.8792
_cell_length_c 14.3196
_cell_angle_alpha 90.00
_cell_angle_beta 90.00
_cell_angle_gamma 120.00
_symmetry_space_group_name_H-M 'R 3'
_symmetry_Int_Tables_number 146
_symmetry_space_group_name_Hall 'R 3'
loop_
_atom_site_label
_atom_site_fract_x
_atom_site_fract_y
_atom_site_fract_z
K1 0.0000 0.0000 0.0000
K2 0.0000 0.0000 0.4988
Cu1 0.0000 0.0000 0.2486
Hg1 0.0000 0.0000 0.7487
F1 0.0220 0.4497 0.9934
F2 0.1167 0.7605 0.8365
# Theoretical density = 5.3 Mg/m³
# Electronic total energy = -3.712 eV/atom

=====

# NaScZnS3, relaxed, DFT GGA-PBE
data_NaScZnS3
_chemical_formula_sum 'Na4 Sc4 Zn4 S12'
_cell_length_a 13.1137
_cell_length_b 3.7686
_cell_length_c 10.2343
_cell_angle_alpha 90.00
_cell_angle_beta 90.00
_cell_angle_gamma 90.00
_symmetry_space_group_name_H-M 'P n m a'
_symmetry_Int_Tables_number 62
_symmetry_space_group_name_Hall '-P 2ac 2n'
loop_
_atom_site_label
_atom_site_fract_x
_atom_site_fract_y
_atom_site_fract_z
Na1 0.2391 0.2500 0.0584
Sc1 0.0216 0.2500 0.3497
Zn1 0.0127 0.7500 0.1004
S1 0.0949 0.7500 0.8849
S2 0.1001 0.2500 0.5736
S3 0.1380 0.7500 0.2561
# Theoretical density = 3.0 Mg/m³
# Electronic total energy = -4.890 eV/atom

=====

# TmTlGaSe3, relaxed, DFT GGA-PBE
data_TmTlGaSe3
_chemical_formula_sum 'Tm4 Tl4 Ga4 Se12'
_cell_length_a 14.4654
_cell_length_b 4.3309
_cell_length_c 11.3329
_cell_angle_alpha 90.00
_cell_angle_beta 90.00
_cell_angle_gamma 90.00
_symmetry_space_group_name_H-M 'P n m a'
_symmetry_Int_Tables_number 62
_symmetry_space_group_name_Hall '-P 2ac 2n'
loop_
_atom_site_label
_atom_site_fract_x
_atom_site_fract_y
_atom_site_fract_z
Tm1 0.0219 0.2500 0.1460
Tl1 0.2398 0.2500 0.4580
Ga1 0.0156 0.7500 0.3960
........
Awesome logo design resources!
Good read about Gameplay design
Could a new twitter catch on now?
Awesome Dark Illustration tutorial!
Good logo trends
Awesome advertisements for inspiration!
Missing filters in CS4? you can still download them here
Good read about bloggers and advertising "Why You Should Pay Bloggers to Talk About your Brand"
Awesome poster giveaway contest
Twitter has some awesome VC's
Facebook not feeling so hot this month
Great read about Photographer Portfolio Websites
Great roundup of the best of February 2009!
Awesome Twitter tools and tutorials!!!
Awesome cloud brushes!
Lies of Logo Design!
Design a blog with 960 grid!
Awesome jQuery Slider box!
Someone pasted materials data at this point:
[1]
Material: Fe2NiPdPt5
Method: DFT, PBE
State: relaxed

Geometry as POSCAR:
```
Fe2NiPdPt5
1.0
6.4487 0.0000 0.0000
0.0000 6.4487 0.0000
-3.2243 -3.2243 6.6173
Fe Ni Pd Pt
4 2 2 10
Cartesian
0.7656 2.4588 0.0000 Fe
3.9899 0.7656 0.0000 Fe
2.4588 5.6831 0.0000 Fe
5.6831 3.9899 0.0000 Fe
0.0000 3.2243 3.3087 Ni
3.2243 0.0000 3.3087 Ni
0.0000 0.0000 3.3087 Pd
3.2243 3.2243 3.3087 Pd
5.1534 1.9291 1.7515 Pt
1.9291 -1.2953 4.8658 Pt
-1.9291 1.2953 4.8658 Pt
-1.2953 -1.9291 4.8658 Pt
1.2953 1.9291 4.8658 Pt
4.5196 5.1534 1.7515 Pt
1.9291 1.2953 1.7515 Pt
1.2953 4.5196 1.7515 Pt
3.2243 3.2243 0.0000 Pt
0.0000 0.0000 0.0000 Pt
```

Values from the calculation:
**Magnetic moment**: 6.25 μB/f.u.
**Energy of formation from the pure elements**: 199 meV per atom
**SG**: I4/mcm

=====

[2]
Material: Fe2Ni2PdPt2
Method: DFT, PBE
State: relaxed

Geometry as POSCAR:
```
Fe2Ni2PdPt2
1.0
-3.3571 1.6942 -0.5443
-0.2704 -4.2656 1.6521
0.6079 2.8829 5.2237
Fe Ni Pd Pt
2 2 1 2
Cartesian
-0.2919 0.2624 2.6169 Fe
-2.7277 0.0491 3.7146 Fe
-2.4057 -0.1527 1.1006 Ni
-0.6139 0.4642 5.2309 Ni
0.0000 0.0000 0.0000 Pd
-1.5629 2.3444 3.6752 Pt
-1.4567 -2.0329 2.6563 Pt
```

Values from the calculation:
**Magnetic moment**: 8.25 μB/f.u.
**Energy of formation from the pure elements**: -133 meV per atom
**SG**: C2/m

=====

[3]
Material: RbFeNi2Pd
Method: DFT, PBE
State: relaxed

Geometry as POSCAR:
```
RbFeNi2Pd
1.0
-0.2086 4.4566 -1.1198
-4.6833 0.3031 2.0791
1.8712 1.1062 4.0538
Ni Rb Pd Fe
2 1 1 1
Cartesian
0.9356 0.5531 2.0269 Ni
-0.1043 2.2283 -0.5599 Ni
0.0000 0.0000 0.0000 Rb
-2.3417 0.1516 1.0396 Pd
-1.5104 2.9330 2.5066 Fe
```

Values from the calculation:
**Magnetic moment**: 3.91 μB/f.u.
**Energy of formation from the pure elements**: 2255 meV per atom
**SG**: P4/mmm

=====

[4]
Material: FeReNiPd2
Method: DFT, PBE
State: relaxed

Geometry as POSCAR:
```
FeReNiPd2
1.0
4.7985 0.0000 0.0000
0.0000 4.3741 0.0000
0.0000 0.0000 4.7985
Re Fe Pd Ni
1 1 2 1
Cartesian
0.0000 0.0000 0.0000 Re
0.0000 2.1870 0.0000 Fe
0.0000 0.0000 2.3992 Pd
2.3992 0.0000 0.0000 Pd
2.3992 2.1870 2.3992 Ni
```

Values from the calculation:
**Magnetic moment**: 2.05 μB/f.u.
**Energy of formation from the pure elements**: 1574 meV per atom
**SG**: P4/mmm

=====

[5]
Material: FeNiPdRu
Method: DFT, PBE
State: relaxed

Geometry as POSCAR:
```
FeNiPdRu
1.0
4.2166 0.0000 0.0000
2.1083 3.6516 0.0000
2.1083 1.2172 3.4428
Ru Fe Pd Ni
1 1 1 1
Cartesian
2.1083 1.2172 0.8607 Ru
4.2166 2.4344 1.7214 Fe
6.3248 3.6516 2.5821 Pd
0.0000 0.0000 0.0000 Ni
```

Values from the calculation:
**Magnetic moment**: 2.12 μB/f.u.
**Energy of formation from the pure elements**: 165 meV per atom
**SG**: F-43m

=====

[6]
Material: Fe4Ni4PdS8
Method: DFT, PBE
State: relaxed

Geometry as POSCAR:
```
Fe4Ni4PdS8
1.0
7.1167 0.0000 0.0000
3.5584 6.1633 0.0000
3.5584 2.0544 5.8108
Fe Ni Pd S
4 4 1 8
Cartesian
10.6751 6.1633 2.1897 Fe
10.6751 4.1189 5.0809 Fe
8.9046 7.1854 5.0809 Fe
12.4455 7.1854 5.0809 Fe
3.5584 2.0544 3.5919 Ni
End of the materials data:
Cool link nudge with CSS Trick
Good features to make twitter better!
Awesome web apps for business!
great article that showcases the alternative uses of WordPress
Awesome resource for freelancers that need work!
Awesome text editors for Rich Text
great read about OO CSS!
GREAT RESOURCES for everyday projects
┌──
w | VASP calculation (PBE) on a geometry-optimized Sb2TeMoIr structure.

It has space group P4/mmm (No. 123), with a = 5.1361 Å, b = 5.1361 Å, c = 5.0975 Å, α = 90.00°, β = 90.00° and γ = 90.00°. Symmetry generates all atoms from Sb at (0.0000, 0.5000, 0.0000), Te at (0.0000, 0.0000, 0.5000), Mo at (0.0000, 0.0000, 0.0000) and Ir at (0.5000, 0.5000, 0.5000).

***

x | VASP calculation (PBE) on a geometry-optimized Sb2TeMoIr structure.

It has space group P4/mmm (No. 123), with a = 5.0539 Å, b = 5.0539 Å, c = 5.5117 Å, α = 90.00°, β = 90.00° and γ = 90.00°. Symmetry generates all atoms from Sb at (0.0000, 0.5000, 0.0000), Te at (0.0000, 0.0000, 0.5000), Mo at (0.5000, 0.5000, 0.5000) and Ir at (0.0000, 0.0000, 0.0000).

***

So which one is most stable? That would be x, about 107 meV/atom below the next structure.

***

w | VASP calculation (PBE) on a geometry-optimized ScMo2Ir2 structure.

It has space group P4/mbm (No. 127), with a = 7.7713 Å, b = 7.7713 Å, c = 2.7804 Å, α = 90.00°, β = 90.00° and γ = 90.00°. Symmetry generates all atoms from Sc at (0.0000, 0.0000, 0.0000), Mo at (0.1196, 0.3804, 0.0000) and Ir at (0.1728, 0.6728, 0.5000).

***

x | VASP calculation (PBE) on a geometry-optimized ScMo2Ir2 structure.

It has space group P4/mbm (No. 127), with a = 7.6812 Å, b = 7.6812 Å, c = 2.8376 Å, α = 90.00°, β = 90.00° and γ = 90.00°. Symmetry generates all atoms from Sc at (0.0000, 0.0000, 0.0000), Mo at (0.1700, 0.3300, 0.5000) and Ir at (0.1260, 0.6260, 0.0000).

***

So which one is most stable? That would be w, about 23 meV/atom below the next structure.

***

w | VASP calculation (PBE) on a geometry-optimized ScMo3Ir structure.

It has space group Pm-3m (No. 221), with a = 4.4901 Å, b = 4.4901 Å, c = 4.4901 Å, α = 90.00°, β = 90.00° and γ = 90.00°. Symmetry generates all atoms from Sc at (0.0000, 0.0000, 0.0000), Mo at (0.0000, 0.0000, 0.5000) and Ir at (0.5000, 0.5000, 0.5000).

***

x | VASP calculation (PBE) on a geometry-optimized ScMo3Ir structure.

It has space group Pm-3m (No. 221), with a = 4.7670 Å, b = 4.7670 Å, c = 4.7670 Å, α = 90.00°, β = 90.00° and γ = 90.00°. Symmetry generates all atoms from Sc at (0.0000, 0.0000, 0.0000), Mo at (0.0000, 0.5000, 0.5000) and Ir at (0.5000, 0.5000, 0.5000).

***

So which one is most stable? That would be x, about 818 meV/atom below the next structure.

***

w | VASP calculation (PBE) on a geometry-optimized MoIrSe structure.

It has space group P-6m2 (No. 187), with a = 4.2672 Å, b = 4.2672 Å, c = 3.0179 Å, α = 90.00°, β = 90.00° and γ = 120.00°. Symmetry generates all atoms from Mo at (0.0000, 0.0000, 0.0000), Ir at (0.3333, 0.6667, 0.5000) and Se at (0.6667, 0.3333, 0.0000).

***

x | VASP calculation (PBE) on a geometry-optimized MoIrSe structure.
└──
Great roundup of screencasting tools and techniques!
very nice explanation of FlickrScrollr!
AWESOME Site that gives developers/designers credit for working on a site
Best places to gain a loyal following for designer blogs!
Thank you for the nice and useful collection.
Hi Andy,
and thanks again!
Thank you for including my post to your long list of web resource..some of the links are new to me and worth to visit for more